The time has finally come. I just couldn’t resist finally making this costume, you guys. Two years ago, I made Oliver a lion mane costume and it’s one of my most popular posts, so I put poor Penny through the same misery of wearing a costume this year. How could I resist making Penny an ACTUAL penny pet costume though?!
Penny enjoys being picked up (mostly just by me) so that she can nuzzle at my shoulder and drool all over my hair – it’s cute, I promise – and I like sing “find a Penny, pick her up and then all day, you’ll have good luck.” Basically, she was just begging for this penny costume!! Although she didn’t enjoy wearing it, I did mange to keep it on her long enough to get a couple photos of her as a real life penny. I can’t image a more perfect costume for a cat named Penny!
This penny pet costume is really easy to make your small dog or cat for Halloween with a few craft supplies, and it’s easy to put on! I learned the hard way that my cats were not fans of wearing costumes, so I’m only willing to try easy pet costumes that easily slide on and off so that they aren’t overly distressed and I’m not torn to pieces. Thanks to a simple felt band and a bit of velcro, it was easy to wrap around Penny’s midsection and stick the ends together without her overreacting. The foamboard is lightweight so it’s easy for them to wear too! After about 10 minutes, Penny realized that she could shimmy out of the band and get the costume off, but at least I got a few photos of my lucky Penny before she gave up.
Here’s how to make a simple penny costume for your pet this Halloween!
Time: 30 minutes
# Next to the piece, the page also holds calculated crystals
........
No. 1
First-principles (GGA-PBE) data for a relaxed KTeRu2 crystal, as listed in Alexandria.

Results
- energy relative to the elements, uncorrected (eV/f.u.) = 3.15
- calculated density (g cm⁻³) = 7.1
- total magnetic moment (μB per formula unit) = 0.0

Unit cell a=3.2843 b=3.2843 c=27.7776 alpha=90.00 beta=90.00 gamma=120.00
Last column: nearest neighbours and their distance in Å.
Space group R-3m (No. 166, hexagonal axes)
One atom of each set of equivalent atoms:
K 0.0000 0.0000 0.0000 [3 per cell]  6 K 3.28, 6 Ru 3.42
Te 0.0000 0.0000 0.5000 [3 per cell]  6 Ru 2.61
Ru 0.0000 0.0000 0.2310 [6 per cell]  3 Te 2.61

No. 2
First-principles (GGA-PBE) data for a relaxed KTeRu2 crystal, as listed in Alexandria.

Results
- energy relative to the elements, uncorrected (eV/f.u.) = 2.78
- calculated density (g cm⁻³) = 7.4
- total magnetic moment (μB per formula unit) = 0.4

Unit cell a=3.1123 b=3.1123 c=29.7379 alpha=90.00 beta=90.00 gamma=120.00
Last column: nearest neighbours and their distance in Å.
Space group R3m (No. 160, hexagonal axes)
One atom of each set of equivalent atoms:
K 0.0000 0.0000 0.0000 [3 per cell]  6 K 3.11, 3 Ru 3.32
Te 0.0000 0.0000 0.2292 [3 per cell]  3 Ru 2.77
Ru 0.0000 0.0000 0.4917 [3 per cell]  3 Ru 2.63, 3 Te 2.77
Ru 0.0000 0.0000 0.7606 [3 per cell]  3 Ru 2.63

No. 3
First-principles (GGA-PBE) data for a relaxed KTeRu2 crystal, as listed in Alexandria.

Results
- energy relative to the elements, uncorrected (eV/f.u.) = 3.19
- calculated density (g cm⁻³) = 6.6
- total magnetic moment (μB per formula unit) = 0.0

Unit cell a=3.1386 b=4.2433 c=7.1427 alpha=90.00 beta=102.63 gamma=90.00
Last column: nearest neighbours and their distance in Å.
Space group P2/m (No. 10)
One atom of each set of equivalent atoms:
K 0.0000 0.0000 0.0000 [1 per cell]  2 K 3.14, 4 Ru 3.50
Te 0.0000 0.0000 0.5000 [1 per cell]  4 Ru 2.56
Ru 0.3537 0.5000 0.6637 [2 per cell]  2 Te 2.56, 2 Ru 2.69-2.85


# PBE-GGA Ca2TcAg, relaxed
data_Ca2TcAg
_cell_length_a 3.3418
_cell_length_b 3.3418
_cell_length_c 28.8020
_cell_angle_alpha 90.00
_cell_angle_beta 90.00
_cell_angle_gamma 120.00
_space_group_name_H-M_alt 'R -3 m'
_space_group_IT_number 166
_space_group_name_Hall '-R 3 2"'
loop_
_atom_site_label
_atom_site_fract_x
_atom_site_fract_y
_atom_site_fract_z
Ca1 0.0000 0.0000 0.2446
Tc1 0.0000 0.0000 0.5000
Ag1 0.0000 0.0000 0.0000
# Energy above the lowest structure with this stoichiometry, eV/atom: 0.152
# Total DFT energy (no corrections), eV/atom: -3.822



# PBE-GGA Ca2TcAg, relaxed
data_Ca2TcAg
_cell_length_a 3.512
_cell_length_b 3.512
_cell_length_c 8.359
_cell_angle_alpha 90.00
_cell_angle_beta 90.00
_cell_angle_gamma 90.00
_space_group_name_H-M_alt 'P 4 m m'
_space_group_IT_number 99
loop_
_space_group_symop_operation_xyz
'x,y,z'
'-y,x,z'
'-x,-y,z'
'y,-x,z'
'-x,y,z'
'y,x,z'
'x,-y,z'
'-y,-x,z'
loop_
_atom_site_label
_atom_site_fract_x
_atom_site_fract_y
_atom_site_fract_z
Ca1 0.000 0.000 0.000
Ca2 0.500 0.500 0.388
Tc1 0.000 0.000 0.613
........
- Foamboard
- Penny printout (8.5 x 11 in paper)
Crystal structures that have nothing to do with the page:
# 1
## Rb3NbBi (PBE)

Data for a relaxed Rb3NbBi crystal.

Output
The calculation puts the total energy at -0.0852 hartree per atom. Its polymorph energy (0 for the lowest one) is 0 meV per atom. The density of states at the Fermi level is 10.18 states/eV/f.u.

a b c (Å): 7.0926 7.0926 7.0926
angles (deg): 90.00 90.00 90.00
With the nearest neighbours (Å) after each atom.
Fractional positions:
Rb 0.0000 0.5000 0.0000  2 Bi 3.55
Nb 0.5000 0.5000 0.5000  12 Rb 5.02
Bi 0.0000 0.0000 0.0000  6 Rb 3.55
Rb 0.5000 0.0000 0.0000  2 Bi 3.55
Rb 0.0000 0.0000 0.5000  2 Bi 3.55


# 2
## RbNbBi2 (PBE)

Data for a relaxed RbNbBi2 crystal.

Output
The calculation puts the total energy at -0.1620 hartree per atom. Its polymorph energy (0 for the lowest one) is 0 meV per atom. The density of states at the Fermi level is 0.76 states/eV/f.u.

a b c (Å): 7.7656 7.7656 8.6407
angles (deg): 63.30 63.30 90.00
With the nearest neighbours (Å) after each atom.
Fractional positions:
Nb 0.0000 0.0000 0.0000  4 Bi 2.70
Nb 0.7500 0.2500 0.5000  4 Bi 2.70
Bi 0.3750 0.2369 0.7500  2 Nb 2.70
Bi 0.7631 0.1250 0.2500  2 Nb 2.70
Bi 0.9869 0.6250 0.2500  2 Nb 2.70
Bi 0.8750 0.0131 0.7500  2 Nb 2.70
Rb 0.2500 0.7500 0.5000  4 Bi 3.95
Rb 0.5000 0.5000 0.0000  4 Bi 3.95


# 3
## RbNbBi3 (PBE)

Data for a relaxed RbNbBi3 crystal.

Output
The calculation puts the total energy at -0.0908 hartree per atom. Its polymorph energy (0 for the lowest one) is 1977 meV per atom. The density of states at the Fermi level is 13.87 states/eV/f.u.

a b c (Å): 5.8495 5.8495 5.8495
angles (deg): 90.00 90.00 90.00
With the nearest neighbours (Å) after each atom.
Fractional positions:
Bi 0.0000 0.5000 0.0000  2 Rb 2.92
Nb 0.5000 0.5000 0.5000  12 Bi 4.14
Bi 0.5000 0.0000 0.0000  2 Rb 2.92
Bi 0.0000 0.0000 0.5000  2 Rb 2.92
Rb 0.0000 0.0000 0.0000  6 Bi 2.92


# 4
## RbNbBi3 (PBE)

Data for a relaxed RbNbBi3 crystal.

Output
The calculation puts the total energy at -0.1635 hartree per atom. Its polymorph energy (0 for the lowest one) is 0 meV per atom. The density of states at the Fermi level is 2.49 states/eV/f.u.

a b c (Å): 5.6311 5.6311 5.6311
angles (deg): 90.00 90.00 90.00
With the nearest neighbours (Å) after each atom.
Fractional positions:
Rb 0.5000 0.5000 0.5000  12 Bi 3.98
Bi 0.0000 0.5000 0.0000  2 Nb 2.82
Bi 0.0000 0.0000 0.5000  2 Nb 2.82
Bi 0.5000 0.0000 0.0000  2 Nb 2.82
Nb 0.0000 0.0000 0.0000  6 Bi 2.82


# 5
## RbNb3Bi (PBE)

Data for a relaxed RbNb3Bi crystal.

Output
The calculation puts the total energy at -0.1861 hartree per atom. Its polymorph energy (0 for the lowest one) is 0 meV per atom. The density of states at the Fermi level is 7.93 states/eV/f.u.

a b c (Å): 5.3720 5.3720 5.3720
angles (deg): 90.00 90.00 90.00
With the nearest neighbours (Å) after each atom.
Fractional positions:
Rb 0.5000 0.5000 0.5000  12 Nb 3.80
Nb 0.0000 0.0000 0.5000  2 Bi 2.69
Bi 0.0000 0.0000 0.0000  6 Nb 2.69
Nb 0.5000 0.0000 0.0000  2 Bi 2.69
Nb 0.0000 0.5000 0.0000  2 Bi 2.69


# 6
## Rb2NbBi (PBE)
- Craft knife
- Glue
- Metallic copper paint
- Brown paint
- Paintbrushes
- Felt
- No-sew velcro
- Hot glue fun
- Scissors
Step 1: Cut out the penny. I printed a black and white penny image as large as possible on 8.5 x 11-inch paper. You should be able to find one with a Google image search.
Step 2: Use the cut printout as the template to cut a circle out of the foamboard.
Step 3: Glue the printout to the top of the foamboard and smooth it out. Let dry.
Step 4: Generously paint over the top of the printout with copper paint. Paint additional coats until the image is just barely still visible beneath the copper. Also paint the sides of the foamboard.
Step 5: Trace the image in brown paint so that it pops against the copper background while still looking natural. Let dry.
Step 6: Measure around your pet’s midsection. Penny is not the skinniest of cats, so I cut two pieces of felt about 2.5 inches wide and sewed the ends together to make one long piece to wrap around her tummy. Be sure to include a little extra wiggle room for the fabric to overlap.
Note, the reason I use felt is because the velcro will stick to it easily, making it easy to wrap around pets who don’t necessarily want to tummy touched or want to wear a costume.
What comes next are materials data, not part of the text >
'''
No. 1
Density functional theory data (GGA-PBE) for a geometry-optimized LiFeB structure.

Structure (POSCAR):
```
LiFeB
1.0
-2.671 1.238 1.975
-2.536 1.979 -1.489
-3.266 -1.317 -0.409
Fe B Li
1 1 1
direct
0.000 0.000 0.000
0.250 0.250 0.250
0.750 0.750 0.750
```

Summary:
Total energy = -14.61 eV per cell
SG = No. 216
Calculated density = 3.88 g/cm³


No. 2
Density functional theory data (GGA-PBE) for a geometry-optimized LiFeB4 structure.

Structure (POSCAR):
```
LiFeB4
1.0
-1.483 2.569 2.962
1.483 -2.569 2.962
1.483 2.569 -2.962
B Fe Li
4 1 1
direct
0.914 0.254 0.660
0.594 0.254 0.340
0.086 0.746 0.340
0.406 0.746 0.660
0.500 0.500 0.000
0.000 0.000 0.000
```

Summary:
SG = No. 71
Calculated density = 3.90 g/cm³
Offset from the most stable computed form = 74 meV/atom

=====

Material: FePt3Se
Method: DFT, PBE-GGA
State: relaxed

Results
Calculated density (g cm⁻³): 11.8
E_form (uncorrected) (meV/atom): 845
Total magnetization (μB per cell): 3.65
Polymorph energy (0 for the lowest one) (meV/atom): 0

The structure in CIF format:
```
data_FePt3Se
_chemical_formula_sum 'Fe1 Pt3 Se1'
_symmetry_space_group_name_H-M 'P m -3 m'
_symmetry_Int_Tables_number 221
_symmetry_space_group_name_Hall '-P 4 2 3'
_cell_length_a 4.667
_cell_length_b 4.667
_cell_length_c 4.667
_cell_angle_alpha 90.00
_cell_angle_beta 90.00
_cell_angle_gamma 90.00
loop_
_atom_site_label
_atom_site_type_symbol
_atom_site_fract_x
_atom_site_fract_y
_atom_site_fract_z
Fe1 Fe 0.000 0.000 0.000
Pt1 Pt 0.000 0.500 0.500
Se1 Se 0.500 0.500 0.500
```

=====

Record 1
A relaxed structure of SrBe3Sb, computed with PBE.

As for the uncorrected formation energy: 2.018 eV/atom.

The structure belongs to space group Pm-3m (No. 221); the cell edges are 5.176, 5.176 and 5.176 Å and the angles 90.00°, 90.00° and 90.00°. The distinct sites, in fractional coordinates, are Sr at (0.000, 0.000, 0.000), Be at (0.000, 0.000, 0.500) and Sb at (0.500, 0.500, 0.500).

Record 2
A relaxed structure of Sr11InSb9, computed with PBE.

As for the uncorrected formation energy: -1.012 eV/atom.

The structure belongs to space group Iba2 (No. 45); the cell edges are 12.530, 13.239 and 17.718 Å and the angles 90.00°, 90.00° and 90.00°. The distinct sites, in fractional coordinates, are Sr at (0.000, 0.000, 0.000), Sr at (0.074, 0.278, 0.022), Sr at (0.089, 0.272, 0.338), Sr at (0.159, 0.173, 0.680), Sr at (0.183, 0.446, 0.552), Sr at (0.185, 0.443, 0.809), In at (0.000, 0.000, 0.288), Sb at (0.000, 0.500, 0.429), Sb at (0.034, 0.395, 0.183), Sb at (0.129, 0.117, 0.177), Sb at (0.148, 0.140, 0.869) and Sb at (0.176, 0.179, 0.497).

Record 3
A relaxed structure of FeCo2PtC, computed with PBE.

Its formation enthalpy at 0 K is 0.081 eV/atom.
'''
Step 7: Cut a piece of stick-on velcro to the width of the felt strip and stick to the ends. Now the pieces will stick together underneath your pet’s tummy or the rough side of the velcro will stick to the felt on its own, so it’s easily adjustable.
Step 8: Lastly, generously hot glue the back of the copper penny to the top middle of the felt band so that it will sit on your pet’s back when worn.
Once the glue has set, you can *carefully* wrap the felt piece around your pet’s midsection and stick the velcro to the felt, positioning the lightweight foam penny on their back. Needless to say, Penny wasn’t a big fan of it, but it was cute for a little while before she started trying to bite the foamboard. I’m sure your pet will make the cutest coin in this penny pet costume!